# Contents
<<<
C2H3Br2NO2 | ωB97M-V/def2-TZVPD

Values from the calculation:
HOMO (spin up / spin down) (eV): -10.398 / -10.399
Max |F| (eV Å⁻¹): 4.7

CARTESIAN COORDINATES (ANGSTROEM)
C (1.08522, -0.01940, 0.55275)
C (-0.32611, -0.16090, 0.26755)
N (-0.68964, -0.11436, -1.17700)
O (-1.63044, -0.76829, -1.47548)
O (-0.03672, 0.59480, -1.93952)
Br (-1.20872, -1.49685, 1.12742)
Br (-1.56070, 1.93065, 0.72925)
H (1.34604, 0.64566, 1.24912)
H (1.28908, -0.87771, 1.08262)
H (1.73199, 0.26641, -0.41670)

***

C18H26O5 | ωB97M-V/def2-TZVPD

Values from the calculation:
Structure (SMILES): C[C@H]1CCC[C@H](O)CCCCCc2cc(O)cc(O)c2C(=O)O1
HOMO (eV): -8.583
Max |F| (eV Å⁻¹): 0.8

CARTESIAN COORDINATES (ANGSTROEM)
C (-0.76260, -4.16672, 0.40138)
C (-0.89570, -2.80340, -0.26724)
C (-2.15329, -2.05671, 0.18764)
C (-2.56687, -0.94301, -0.77752)
C (-3.55405, 0.03381, -0.13563)
C (-2.84710, 1.05454, 0.77347)
O (-3.69448, 1.49680, 1.81428)
C (-2.28276, 2.24058, -0.02640)
C (-1.04043, 2.83392, 0.64304)
C (0.21419, 2.03077, 0.28502)
C (0.85336, 2.50970, -1.02258)
C (1.61834, 1.40097, -1.76663)
C (2.49337, 0.61898, -0.83010)
C (3.66445, 1.20733, -0.39345)
C (4.48242, 0.57408, 0.53726)
O (5.62950, 1.18818, 0.91130)
C (4.09789, -0.64732, 1.06359)
C (2.91134, -1.24813, 0.66115)
O (2.62187, -2.43453, 1.23327)
C (2.10613, -0.63452, -0.31811)
C (0.91729, -1.33340, -0.85317)
O (0.55602, -1.32840, -2.00499)
O (0.26241, -2.03369, 0.10322)
H (0.16446, -4.65010, 0.10029)
H (-0.76589, -4.05429, 1.48318)
H (-1.59390, -4.80153, 0.10943)
H (-0.89158, -2.90944, -1.35902)
H (-1.95473, -1.64191, 1.17790)
H (-2.97072, -2.77254, 0.28483)
H (-1.68470, -0.39435, -1.11035)
H (-3.01834, -1.39484, -1.66298)
H (-4.27412, -0.52608, 0.46582)
H (-4.10852, 0.56723, -0.91180)
H (-2.03113, 0.55276, 1.30248)
H (-4.43555, 1.97530, 1.42535)
H (-2.03024, 1.91702, -1.03696)
H (-3.06523, 3.00047, -0.10889)
H (-1.19715, 2.83150, 1.72311)
H (-0.90459, 3.87176, 0.33292)
H (-0.05840, 0.97830, 0.19433)
H (0.94991, 2.10176, 1.08777)
H (0.07909, 2.88756, -1.69341)
H (1.52939, 3.33763, -0.80194)
H (2.23848, 1.86020, -2.53840)
H (0.90910, 0.74210, -2.25997)
H (3.96639, 2.16990, -0.77297)
H (6.09816, 0.64488, 1.55707)
H (4.70123, -1.15757, 1.80010)
H (1.71727, -2.69548, 0.99330)

***

Copy entry 2 word for word.
C18H26O5 | ωB97M-V/def2-TZVPD

Values from the calculation:
Structure (SMILES): C[C@H]1CCC[C@H](O)CCCCCc2cc(O)cc(O)c2C(=O)O1
HOMO (eV): -8.583
Max |F| (eV Å⁻¹): 0.8

CARTESIAN COORDINATES (ANGSTROEM)
C (-0.76260, -4.16672, 0.40138)
C (-0.89570, -2.80340, -0.26724)
C (-2.15329, -2.05671, 0.18764)
C (-2.56687, -0.94301, -0.77752)
C (-3.55405, 0.03381, -0.13563)
C (-2.84710, 1.05454, 0.77347)
O (-3.69448, 1.49680, 1.81428)
C (-2.28276, 2.24058, -0.02640)
C (-1.04043, 2.83392, 0.64304)
>>>
# What to do
Repeat the lines earlier on character by character, please.
# Done
C2H3Br2NO2 | ωB97M-V/def2-TZVPD

Values from the calculation:
HOMO (spin up / spin down) (eV): -10.398 / -10.399
Max |F| (eV Å⁻¹): 4.7

CARTESIAN COORDINATES (ANGSTROEM)
C (1.08522, -0.01940, 0.55275)
C (-0.32611, -0.16090, 0.26755)
N (-0.68964, -0.11436, -1.17700)
O (-1.63044, -0.76829, -1.47548)
O (-0.03672, 0.59480, -1.93952)
Br (-1.20872, -1.49685, 1.12742)
Br (-1.56070, 1.93065, 0.72925)
H (1.34604, 0.64566, 1.24912)
H (1.28908, -0.87771, 1.08262)
H (1.73199, 0.26641, -0.41670)

***

C18H26O5 | ωB97M-V/def2-TZVPD

Values from the calculation:
Structure (SMILES): C[C@H]1CCC[C@H](O)CCCCCc2cc(O)cc(O)c2C(=O)O1
HOMO (eV): -8.583
Max |F| (eV Å⁻¹): 0.8

CARTESIAN COORDINATES (ANGSTROEM)
C (-0.76260, -4.16672, 0.40138)
C (-0.89570, -2.80340, -0.26724)
C (-2.15329, -2.05671, 0.18764)
C (-2.56687, -0.94301, -0.77752)
C (-3.55405, 0.03381, -0.13563)
C (-2.84710, 1.05454, 0.77347)
O (-3.69448, 1.49680, 1.81428)
C (-2.28276, 2.24058, -0.02640)
C (-1.04043, 2.83392, 0.64304)
C (0.21419, 2.03077, 0.28502)
C (0.85336, 2.50970, -1.02258)
C (1.61834, 1.40097, -1.76663)
C (2.49337, 0.61898, -0.83010)
C (3.66445, 1.20733, -0.39345)
C (4.48242, 0.57408, 0.53726)
O (5.62950, 1.18818, 0.91130)
C (4.09789, -0.64732, 1.06359)
C (2.91134, -1.24813, 0.66115)
O (2.62187, -2.43453, 1.23327)
C (2.10613, -0.63452, -0.31811)
C (0.91729, -1.33340, -0.85317)
O (0.55602, -1.32840, -2.00499)
O (0.26241, -2.03369, 0.10322)
H (0.16446, -4.65010, 0.10029)
H (-0.76589, -4.05429, 1.48318)
H (-1.59390, -4.80153, 0.10943)
H (-0.89158, -2.90944, -1.35902)
H (-1.95473, -1.64191, 1.17790)
H (-2.97072, -2.77254, 0.28483)
H (-1.68470, -0.39435, -1.11035)
H (-3.01834, -1.39484, -1.66298)
H (-4.27412, -0.52608, 0.46582)
H (-4.10852, 0.56723, -0.91180)
H (-2.03113, 0.55276, 1.30248)
H (-4.43555, 1.97530, 1.42535)
H (-2.03024, 1.91702, -1.03696)
H (-3.06523, 3.00047, -0.10889)
H (-1.19715, 2.83150, 1.72311)
H (-0.90459, 3.87176, 0.33292)
H (-0.05840, 0.97830, 0.19433)
H (0.94991, 2.10176, 1.08777)
H (0.07909, 2.88756, -1.69341)
H (1.52939, 3.33763, -0.80194)
H (2.23848, 1.86020, -2.53840)
H (0.90910, 0.74210, -2.25997)
H (3.96639, 2.16990, -0.77297)
H (6.09816, 0.64488, 1.55707)
H (4.70123, -1.15757, 1.80010)
H (1.71727, -2.69548, 0.99330)

***

Copy entry 2 word for word.
C18H26O5 | ωB97M-V/def2-TZVPD

Values from the calculation:
Structure (SMILES): C[C@H]1CCC[C@H](O)CCCCCc2cc(O)cc(O)c2C(=O)O1
HOMO (eV): -8.583
Max |F| (eV Å⁻¹): 0.8

CARTESIAN COORDINATES (ANGSTROEM)
C (-0.76260, -4.16672, 0.40138)
C (-0.89570, -2.80340, -0.26724)
C (-2.15329, -2.05671, 0.18764)
C (-2.56687, -0.94301, -0.77752)
C (-3.55405, 0.03381, -0.13563)
C (-2.84710, 1.05454, 0.77347)
O (-3.69448, 1.49680, 1.81428)
C (-2.28276, 2.24058, -0.02640)
C (-1.04043, 2.83392, 0.64304)